發布時間:2016-04-20   訪問次數:4163   作者:



姓名: 李科晶

職稱: 講師


E-mail kejing.li@ecust.edu.cn
















  1. 李科晶*,方波. 自制實驗視頻在流變學教學中的應用實踐. 化工高等教育,2020(6):116-119.

  2. 羅炎生, 方波*, 盧擁軍, 邱曉惠,管保山,李科晶. 耐高溫壓裂液研究進展. 油田化學, 2018, 35(3):169-173.

  3. 吳本芳*, 吳一昊, 方波, 李科晶, 高晉生,吳東,徐承中. 高凝原油用聚合物型降凝劑的制備及其降凝機理. 精細石油化工, 2017, 34(6):45-50.

# 1
Density functional theory data (PBE-GGA) for crystalline P2RhBr at its relaxed geometry.

Energy above the most stable polymorph in this dataset in meV/atom: 891
Uncorrected formation energy in eV per atom: 0.688

abc: 3.108 4.337 4.783
angles: 90.00 90.00 90.00
Space group Pmmm (No. 47)
Asymmetric unit:
P1 0.000 0.000 0.000 [1 per cell]
P2 0.500 0.500 0.000 [1 per cell]
Rh1 0.000 0.500 0.500 [1 per cell]
Br1 0.500 0.000 0.500 [1 per cell]

***

# 2
Density functional theory data (PBE-GGA) for crystalline SrHgOs2 at its relaxed geometry.

Formation enthalpy at 0 K in eV/atom: 1.078

abc: 4.103 4.103 4.644
angles: 90.00 90.00 90.00
Space group P4/mmm (No. 123)
Asymmetric unit:
Sr1 0.000 0.000 0.000 [1 per cell]
Hg1 0.500 0.500 0.000 [1 per cell]
Os1 0.000 0.500 0.500 [2 per cell]

***

# 3
Density functional theory data (PBE-GGA) for crystalline LaMg2Ir2 at its relaxed geometry.

Energy above the most stable polymorph in this dataset in meV/atom: 0
Formation enthalpy at 0 K in eV/atom: -0.489

abc: 4.210 4.210 11.854
angles: 90.00 90.00 90.00
Space group I4/mmm (No. 139)
Asymmetric unit:
La1 0.000 0.000 0.000 [2 per cell]
Mg1 0.000 0.500 0.250 [4 per cell]
Ir1 0.000 0.000 0.394 [4 per cell]

***

# 4
Density functional theory data (PBE-GGA) for crystalline PrHo2ErSb4 at its relaxed geometry.

Uncorrected formation energy in eV per atom: -1.115

abc: 6.243 6.243 12.480
angles: 90.00 90.00 90.00
Space group I4/mmm (No. 139)
Asymmetric unit:
Pr1 0.000 0.000 0.000 [2 per cell]
Ho1 0.000 0.500 0.250 [4 per cell]
Er1 0.000 0.000 0.500 [2 per cell]
Sb1 0.000 0.000 0.255 [4 per cell]
Sb2 0.000 0.500 0.000 [4 per cell]

***

# 5
Density functional theory data (PBE-GGA) for crystalline Be2I2N at its relaxed geometry.

Energy above the most stable polymorph in this dataset in meV/atom: 0
Uncorrected formation energy in eV per atom: 1.215

abc: 7.333 7.333 3.844
angles: 90.00 90.00 90.00
Space group P4/mbm (No. 127)
Asymmetric unit:
Be1 0.099 0.401 0.000 [4 per cell]
I1 0.243 0.257 0.500 [4 per cell]
N1 0.000 0.000 0.500 [2 per cell]

***

# 6
Density functional theory data (PBE-GGA) for crystalline KAg2As at its relaxed geometry.

Formation enthalpy at 0 K in eV/atom: 0.104

abc: 3.089 5.590 11.111
angles: 90.00 90.00 90.00
Space group Immm (No. 71)
Asymmetric unit:
K1 0.000 0.000 0.000 [2 per cell]
Ag1 0.000 0.500 0.206 [4 per cell]
As1 0.000 0.000 0.500 [2 per cell]

***

# 7
Density functional theory data (PBE-GGA) for crystalline Pu3TcH6 at its relaxed geometry.

E in eV/atom: -7.57

abc: 8.9319 8.9319 10.2116
angles: 90.00 90.00 120.00
Space group R-3 (No. 148, hexagonal axes)
Asymmetric unit:
Pu1 0.0137 0.7622 0.2411 [18 per cell]
Tc1 0.0000 0.0000 0.0000 [3 per cell]
Tc2 0.0000 0.0000 0.5000 [3 per cell]
H1 0.0042 0.8529 0.8855 [18 per cell]
H2 0.0881 0.8816 0.5787 [18 per cell]

***

# 8
Density functional theory data (PBE-GGA) for crystalline BaSmCdIn at its relaxed geometry.

Formation enthalpy at 0 K in eV/atom: -0.276

abc: 8.092 8.092 8.092

  4. K. Li*, C.A. Dawydiak. Chemistry and transport of potassium during the non-steady state of syenite leaching. Soil Science Society of America Journal, 2017, 81(1):29~40.

  5. J. Chen, B. Fang*, H. Jin, L. Yu, M. Tian, K. Li, L. Jin, M. Yang. Potorheologically reversible micelle composed of polymerizable cationic surfactant and 4-phynylazo benzoic acid. Chinese Journal of Chemical Engineering, 2016, 24(2):289-292.

  6. M. Tian, B. Fang*, L. Jin, Y. Lu, X. Qiu, H. Jin, K. Li. Rheological and drag reduction properties of hydroxylpropyl xanthan gum solutions. Chinese Journal of Chemical Engineering, 2015, 23(9):1440-1446.

  7. K. Li, M. Vasiliu, C.R. McAlpin, Y. Yang, D.A. Dixon, K.J. Voorhees, M. Batzle, M.W. Liberatore, A.M. Herring*. Further insights into the structure and chemistry of the Gilsonite asphaltene from a combined theoretical and experimental approach. Fuel, 2015, 157, 16-20.

  8. K. Li, B.A. Akeredolu, A. Renehan, M. Batzle, R. Evans, J. Dorgan, Y. Yang, M.W. Liberatore, A.M. Herring*. Correlation of chemistry and rheological properties for Alaskan heavy oil. Fuel, 2013, 103, 843–849.

  9. K. Li, C.R. McAlpin, B.A. Akeredolu, A. Bazyleva, K.J. Voorhees, M. Batzle, M.W. Liberatore, A.M. Herring*. A rheological and chemical investigation of Canadian heavy oils from the McMurray formation. Energy & Fuels, 2012, 26(7):4445-4453.

  10. K. Li, S. Li, N. Li, T.M. Klein*, D.A. Dixon*. Tetrakis(ethylmethylamido) hafnium adsorption and reaction on hydrogen-terminated Si(100) surfaces. Journal of Physical Chemistry C, 2011, 115(38):18560-18571.

  11. K. Li, L. Zhang, D.A. Dixon, T.M. Klein*. Undulating topography effects on the HfO2 thin film growth in a horizontal MOCVD reactor. AIChE Journal, 2011, 57(11):2989-2996.

  12. K. Li, S. Li, N. Li, D. A. Dixon, T. M. Klein*. Tetrakis(dimethylamido) hafnium adsorption and reaction on hydrogen-terminated Si(100) surfaces. Journal of Physical Chemistry C, 2010, 114(33):14061-14075.

  13. C.L. Platt*, N. Li, K. Li, T.M. Klein. Atomic layer deposition of HfO2: Growth initiation study on metallic underlayers. Thin Solid Films, 2010, 518(15):4081-4086.

  14. K. Li, S. Dubey, H. Bhandari, Z. Hu, C.H. Turner, T.M. Klein*. In situ attenuated total reflectance Fourier transform infrared spectroscopy of hafnium (IV) tert butoxide adsorption onto hydrogen terminated Si (100) and Si (111). Journal of Vacuum Science & Technology A, 2007, 25, 1389-1394.



1. 高溫壓裂液稠化劑合成與特性表征,國家科技重大專項項目任務,2017.1-2020.12,參與。

2. 重油膠質組分分析及流變性質關聯研究,教育部中央高校基本科研業務費專項基金, 2015.1-2017.12,主持。

3. 國産重油組分測定與流變性質的關聯研究,教育部留學回國人員科研啟動基金,2015.1-2016.12,主持。

4. 上海高校教師産學研踐習計劃項目,2015.9-2016.9,主持。
